{region 'Supplement-Management'}
bEnableBACnet : BOOL := TRUE;
nEnabledSupplements : INT(0..2) := 1;
{region 'Communication-Management'}
{IF defined (BaDebug)}
nCom_BACnetRM_IOCount : DINT := 100;
nCom_BACnetRM_IOCount : DINT := 0;
{region 'Site service'}
bSiteServer_Enable : BOOL := TRUE;
nSiteServer_BufferSize : UINT := 8192;
nSiteServer_SessionTimeout : TIME := T#15S;
nSiteClient_BufferSize : UINT := 1024;
tSiteClient_ReadTimeout : TIME := T#5S;
{region 'Project settings'}
{region 'General'}
{IF defined (BaDebug)}
eLanguage : E_BA_Language := E_BA_Language.eGerman;
eLanguage : E_BA_Language := E_BA_Language.eEnglish;
bUtf8AutoConvert : BOOL := TRUE;
{region 'DPAD'}
nDPAD_Levels : UINT := 10;
nDPAD_DefIndexDigits : UINT := 2;
{attribute 'TcEncoding':='UTF-8'}
sDPAD_ObjectName_DefSeparator : T_BA_ShortString := '_';
{attribute 'hide'}
eDPAD_ObjectName_ManOvrConcatMode : E_BA_ConcatDPADMode := E_BA_ConcatDPADMode.eNone;
{attribute 'TcEncoding':='UTF-8'}
sDPAD_Description_DefSeparator : T_BA_ShortString := ' - ';
{attribute 'hide'}
eDPAD_Description_ManOvrConcatMode : E_BA_ConcatDPADMode := E_BA_ConcatDPADMode.eNone;
bDPAD_Description_ExplicitIndex : BOOL := TRUE;
{region 'Event'}
{region 'Management'}
eEvtMgmt_AckMode : E_BA_AcknowledgeMode := E_BA_AcknowledgeMode.eSingle
{attribute 'TcEncoding':='UTF-8'}
sEvtMgmt_AckMsgInternal : STRING := 'Built-in acknowledgement.';
{attribute 'TcEncoding':='UTF-8'}
sEvtMgmt_AckMsgRemote : STRING := 'Acknowledged by remote user.';
{attribute 'TcEncoding':='UTF-8'}
sEvtMgmt_AckMsgPLC : STRING := 'Acknowledged by PLC.';
{region 'Alarm-Mode settings'}
aAckFlags_Simple : T_BA_EventTransitions := [ TRUE, TRUE, FALSE ];
aAckFlags_Standard : T_BA_EventTransitions := [ TRUE, TRUE, FALSE ];
aAckFlags_Extended : T_BA_EventTransitions := [ TRUE, TRUE, TRUE ];
aEventEn_Simple : T_BA_EventTransitions := [ TRUE, TRUE, FALSE ];
aEventEn_Standard : T_BA_EventTransitions := [ TRUE, TRUE, FALSE ];
aEventEn_Extended : T_BA_EventTransitions := [ TRUE, TRUE, TRUE ];
nEventHistory_EntryCount : INT := 2048;
nEventTransitionText_Length : DINT := 24;
aEventTransitionText : T_BA_EventTransitionText := [ 'To Offnormal', 'To Fault', 'To Normal' ];
{region 'Event-List'}
nEventList_EntryCount : DINT := 512;
{region 'Parameters'}
{region 'General'}
nInstID_AutoGenerateOffset : UDINT := 100
nStateText_Length : DINT := 40;
nTag_Length : DINT := 8;
aDefReadAccess : ARRAY [E_BA_Parameter.First .. E_BA_Parameter.Last] OF E_BA_Role := [E_BA_Parameter.Count(0)];
aDefWriteAccess : ARRAY [E_BA_Parameter.First .. E_BA_Parameter.Last] OF E_BA_Role := [E_BA_Parameter.Count(0)];
{region 'Multistate'}
nMultistate_StateCount : DINT := 20;
{region 'Local'}
{region 'Hardware'}
fInput_DefResolution : REAL := 0.1;
fInput_DefScaleOffset : REAL := 0;
fOutput_DefResolution : REAL := 0.00305185;
fOutput_DefScaleOffset : REAL := 0;
eInput_DefSensor : E_BA_MeasuringElement := E_BA_MeasuringElement.eNI1000;
{region 'Event config'}
fDefLimitDeadband : REAL := 0.0;
nDefTimeDelay_ToAbnormal : UDINT := 1;
nDefTimeDelayAO_ToAbnormal : UDINT := 1;
nDefTimeDelayBO_ToAbnormal : UDINT := 30;
nDefTimeDelayMO_ToAbnormal : UDINT := 30;
{region 'Value'}
fDefCOVIncrement : REAL := 0.1;
{region 'Plant Control'}
nPlantCtrl_OpModeCount : DINT := 16;
nPlantCtrl_AggregateCount : DINT := 16;
{region 'Sequence Link'}
nSeqLink_RefCount : DINT := 16;
{region 'Sequence'}
nMaxSeqCtrl : USINT := 8
{region 'Collector'}
nCollect_RefCount : DINT := 16;
{region 'Loop'}
nLoop_DefOpMode : E_BA_PIDMode := E_BA_PIDMode.eP1ID;
{region 'Trend'}
**Misplaced data records**
=====
{"formula": "C28H84O22", "method": "ωB97M-V/def2-TZVPD", "symbols": ["C", "O", "C", "H", "H", "C", "H", "C", "O", "H", "O", "H", "H", "H", "H", "H", "H", "H", "C", "H", "O", "H", "O", "H", "H", "C", "C", "H", "H", "H", "H", "O", "H", "C", "C", "H", "H", "H", "H", "H", "H", "H", "C", "C", "O", "H", "H", "H", "H", "H", "O", "C", "C", "O", "H", "C", "C", "O", "H", "H", "H", "O", "H", "H", "C", "H", "H", "H", "H", "H", "C", "O", "H", "H", "C", "H", "H", "H", "C", "H", "H", "H", "H", "H", "H", "H", "H", "H", "O", "C", "O", "H", "H", "O", "H", "H", "C", "H", "C", "H", "C", "H", "C", "H", "O", "C", "H", "H", "H", "C", "O", "O", "H", "H", "H", "O", "H", "H", "C", "H", "H", "H", "O", "H", "H", "O", "H", "C", "H", "H", "H", "H", "H", "O"], "xyz": [[-0.39, 0.99, -6.99], [0.52, -5.06, 0.73], [0.15, 4.87, 5.39], [0.36, 0.52, -2.33], [0.42, -5.74, -2.70], [-3.93, 3.27, 1.09], [1.42, 0.75, 1.29], [3.97, -0.08, 2.87], [0.44, 4.91, -1.87], [-0.56, -6.99, 2.10], [-3.47, 2.20, 0.31], [-2.37, -0.50, 2.25], [1.51, -0.10, 4.68], [0.97, -3.16, -3.90], [0.47, 4.49, 7.49], [0.55, 0.82, -7.44], [-4.70, -3.88, -2.55], [-3.30, 5.32, -3.85], [1.73, 0.02, -0.54], [-3.19, -2.54, -1.14], [-0.35, 3.54, 5.13], [-2.55, -3.17, 2.65], [1.52, 1.83, 4.05], [-1.15, -2.41, -2.93], [4.92, 2.42, -2.34], [1.98, -5.37, -4.24], [-3.07, -1.25, 1.85], [-0.74, -5.82, -0.65], [3.14, -0.54, 2.35], [-0.97, -1.90, 0.63], [-0.61, 5.61, 5.62], [0.35, -0.10, -5.02], [-2.04, -3.77, -1.71], [1.11, 4.77, 6.65], [-0.24, 0.28, 3.43], [1.11, -5.03, 4.50], [0.45, -1.26, 2.32], [-1.33, -0.66, -1.24], [5.16, 0.43, 1.04], [-1.62, 3.15, 2.22], [-4.86, 3.26, -4.50], [3.06, -2.37, 2.88], [1.13, -4.97, -3.01], [-2.76, -2.96, -2.04], [-1.18, -2.70, 1.22], [-0.73, 1.84, -7.55], [-1.02, 3.50, 4.45], [-2.51, 2.15, 0.42], [2.36, -6.32, -4.08], [1.81, -4.69, -2.16], [4.55, 1.16, 0.94], [2.61, -3.90, 4.40], [-3.87, 3.17, -4.04], [2.02, -5.25, 4.40], [-3.65, 0.15, 0.69], [-0.16, 1.12, -5.55], [0.78, 0.66, 4.47], [-2.12, -5.89, 1.48], [-1.56, -7.75, 0.85], [1.10, 2.66, 4.41], [2.87, 3.81, -4.10], [5.17, -0.86, 2.60], [1.98, 4.10, 6.62], [0.31, 4.33, 0.50], [3.75, 3.17, -3.92], [-1.01, 3.44, -2.10], [-4.02, 3.02, -2.94], [5.72, -0.83, 3.38], [-3.55, 4.22, 0.72], [3.75, -0.15, 3.95], [4.10, 3.13, -2.46], [-0.81, 2.47, 0.63], [2.49, 0.33, -1.26], [3.10, 2.30, -0.89], [-1.10, -6.77, 1.23], [-1.11, 0.19, -7.18], [1.31, -5.43, -5.07], [0.60, -3.37, 2.12], [-0.16, 3.65, -1.44], [4.54, 3.57, -4.50], [-3.98, -1.32, 2.38], [-0.73, 1.15, 3.05], [-1.98, 4.10, -3.74], [-3.55, 2.16, -4.46], [3.66, -4.04, 4.58], [-0.08, -4.30, 0.85], [4.46, 4.19, -2.12], [2.70, -4.01, 2.27], [-3.38, -0.75, 0.58], [-2.50, -2.64, 1.72], [0.37, -3.75, -3.35], [0.30, 0.80, 5.44], [0.56, 5.29, 4.48], [-2.02, -1.96, -2.78], [-1.04, -0.29, 3.82], [0.81, -1.20, -2.07], [-0.51, 3.75, 0.01], [-5.02, 3.26, 1.02], [2.40, -3.29, 3.02], [5.03, 1.81, 2.88], [-2.92, 4.37, -4.24], [0.59, 2.87, -1.54], [4.20, 1.33, 2.36], [-0.09, 1.78, 0.45], [-2.63, 4.58, -5.61], [0.51, -0.25, -1.53], [-1.02, 1.41, -4.91], [-3.76, 2.16, 2.96], [2.05, -0.90, -0.10], [-3.87, -3.39, -3.03], [0.41, -0.29, 2.27], [-2.22, 3.57, 2.88], [-3.61, -4.13, -3.76], [3.50, 2.12, -4.23], [1.49, 5.80, 6.84], [0.99, -2.98, 2.91], [0.54, 1.87, -5.34], [3.30, 1.98, 2.39], [-3.60, 3.11, 2.59], [2.83, -4.72, -4.51], [-2.08, -5.61, 2.39], [-4.22, -2.50, -3.46], [-0.59, -0.41, -0.69], [-3.26, 5.23, -6.02], [-4.27, 3.76, 3.12], [1.62, 1.11, 0.38], [1.11, 4.65, -2.46], [-0.16, -6.19, 0.22], [-3.11, -3.24, 1.05], [-1.41, 4.22, 0.26], [2.16, -3.30, 5.19], [-0.09, -0.88, -5.37], [0.58, -6.94, -0.01], [2.92, 2.77, -1.76]], "mulliken_charge": [-1.459, -0.442, -0.333, -0.092, 0.210, -0.476, -0.609, 0.161, -0.745, 0.352, -0.600, -0.446, 0.152, 0.191, 0.270, 0.335, 0.425, 0.437, -1.116, -0.085, -0.545, 0.572, -0.354, 0.213, 0.306, -1.512, -0.032, 0.049, -0.646, -0.341, 0.394, -0.431, -0.365, -1.032, 0.300, 0.294, -0.600, -0.340, 0.339, 0.394, 0.370, -0.201, 0.177, 1.028, 0.988, 0.397, 0.344, 0.362, 0.470, 0.120, -0.477, -0.821, -0.708, -0.577, 0.252, 0.468, -1.116, -0.482, 0.300, 0.275, 0.190, -0.606, 0.274, 0.188, -1.125, -0.508, 0.099, 0.357, 0.267, 0.542, -0.185, 0.171, 0.537, -0.006, -0.649, 0.390, 0.366, -0.098, 1.537, 0.475, 0.564, -0.522, -0.274, 0.158, 0.412, 0.339, 0.224, 0.281, -0.550, -0.902, -0.478, 0.418, 0.307, -0.374, 0.707, -0.043, -0.716, 0.466, 0.616, 0.375, 0.291, -0.449, -0.143, -0.415, -0.569, 0.211, -0.039, 0.240, 0.659, -1.559, 1.410, -0.639, 0.335, 0.218, 0.352, -0.316, 0.118, -0.067, -0.586, 0.369, 0.297, 0.370, 0.465, 0.306, 0.465, -0.265, 0.396, -0.157, 0.320, 0.420, 0.324, 0.247, 0.347, -0.144], "homo_ev": -9.675, "relative_energy_kcal_mol": 26.66, "lumo_ha": 0.0195, "gap_ev": 10.2, "energy_ha": -2772.267627}
=====
nTrend_BufferSize : UDINT := 500;
stTrend_DefStartTime : ST_BA_DateTime := ();
stTrend_DefStopTime : ST_BA_DateTime := ();
bTrend_DefStopOnFull : BOOL := FALSE;
nTrend_DefLogInterval : UDINT := 900;
nTrend_DefNotificationThreshold : UDINT := 50;
eTrend_DefLoggingType : E_BA_LoggingType := E_BA_LoggingType.ePolled;
{region 'Calendar'}
nCal_EntryCount : DINT := 24;
{region 'Scheduler'}
nSched_EntryCount : DINT := 6;
nSched_CalendarCount : DINT := 3;
nSched_ExceptionCount : DINT := 24;
{region 'Simulation'}
nSim_AISen_DefDampConstant : UDINT := 20;
{region 'Publish and Subscribe'}
{region 'Subscribers'}
tSub_ReadTolerance : TIME := T#0S;
bSub_ClearOnReadError : BOOL := FALSE;
tSub_DefReadInterval : TIME := T#30S;
{region 'Groups'}
nGroupCmd_RefCount : DINT := 5;
nGroupDsp_RefCount : DINT := 5;
nGroupVal_RefCount : DINT := 5;
Name | Type | Description |
bSiteServer_Enable | BOOL | Disables / enables the Site Server on the automation station. |
nSiteServer_BufferSize | UINT | Defines the size of the Site Server communication buffer. |
nSiteServer_SessionTimeout | TIME | Defines the maximum duration [s] of a session until it is terminated by the server after inactivity. |
nSiteClient_BufferSize | UINT | Defines the size of the communication buffer from the Site Client. |
tSiteClient_ReadTimeout | TIME | Defines the maximum duration [s] of read requests of the Site Client until they are aborted with a timeout. |
eLanguage | Language used within the PLC, for example to format Current values. | |
bUtf8AutoConvert | BOOL | Automatically applies UTF-8 encoding to strings. |
nDPADLevels | UINT | Sets the maximum number of levels in DPAD. |
nDPAD_DefIndexDigits | UINT | Sets the number of digits for indexing levels in DPAD. |
sDPAD_ObjectName_DefSeparator | Sets the separator for separating object names. | |
eDPAD_ObjectName_ManOvrConcatMode | Default to concatenate strings when an object name has been manually overwritten. | |
sDPAD_Description_DefSeparator | Sets the separator for separating descriptions. | |
eDPAD_Description_ManOvrConcatMode | Default for concatenate strings when a description has been manually overwritten. | |
bDPAD_Description_ExplicitIndex | BOOL | Conditions under which an index should be displayed in the parameter Description.
eEvtMgmt_AckMode | Behavior when acknowledging events. | |
sEvtMgmt_AckMsgInternal | STRING | Text for displaying integrated acknowledgement functions (for internal functions). |
sEvtMgmt_AckMsgRemote | STRING | Text for displaying acknowledgement functions by external access. |
sEvtMgmt_AckMsgPLC | STRING | Text for displaying acknowledgement functions by PLC logic. |
aAckFlags_Simple | Defines the transitions to be confirmed for the "Simple" alarm mode. | |
aAckFlags_Standard | Defines the transitions to be confirmed for the "Standard" alarm mode. | |
aAckFlags_Extended | Defines the transitions to be confirmed for the "Advanced" alarm mode. | |
aEventEn_Simple | Defines transition states to be taken into account for the "Simple" alarm mode. | |
aEventEn_Standard | Defines transition states to be taken into account for the "Standard" alarm mode. | |
aEventEn_Extended | Defines transition states to be taken into account for the "Advanced" alarm mode. | |
nEventHistory_EntryCount | INT | Maximum number of entries in the event history. |
nEventTransitionText_Length | DINT | Maximum number of letters in the event transition parameter. |
aEventTransitionText | Default value for the event transition text. | |
nEventList_EntryCount | DINT | Maximum number of entries displayed in event lists. |
nInstID_AutoGenerateOffset | DINT | Initial value for autogeneration of instance IDs. |
nStateText_Length | DINT | Maximum number of characters in the State Text parameter. |
nTag_Length | DINT | Maximum amount of letters in the Tag parameter. |
aDefReadAccess | Possibility to customize default access rights for read access to parameters. | |
aDefWriteAccess | Possibility to customize default access rights for write access to parameters. | |
nMultistate_StateCount | DINT | Sets the number of states for multi-state values. |
fInput_DefResolution | REAL | Default value for the Resolution parameter of inputs. |
fInput_DefScaleOffset | REAL | Default value for the Offset parameter of inputs. |
fOutput_DefResolution | REAL | Default value for the Resolution parameter of outputs. |
fOutput_DefScaleOffset | REAL | Default value for the Offset parameter of outputs. |
eInput_DefSensor | Selection of the sensor with the special input type FB_BA_AI_IOEx. | |
fDefLimitDeadband | REAL | Default value for the Dead band limit parameter. |
nDefTimeDelay_ToAbnormal | UDINT | Default value for the parameter Time delay of transitions to abnormal states. |
nDefTimeDelayAO_ToAbnormal | UDINT | Default value for the Time Delay parameter of transitions to abnormal states of analog outputs. |
nDefTimeDelayBO_ToAbnormal | UDINT | Default value for the Time Delay parameter of transitions to abnormal states of binary outputs. |
nDefTimeDelayMO_ToAbnormal | UDINT | Default value for the Time Delay parameter of transitions to abnormal states of multi-stage outputs. |
fDefCOVIncrement | REAL | Default value for the COV increment parameter. |
nPlantCtrl_OpModeCount | DINT | Sets the maximum number of plant operation modes of FB_BA_PlantCtrl function blocks. |
nPlantCtrl_AggregateCount | DINT | Sets the maximum number of aggregate references of FB_BA_PlantCtrl function blocks. |
nSeqLink_RefCount | DINT | Maximum number of controller references in a sequence linker. |
nMaxSeqCtrl | USINT | The global parameter specifies the number of sequence controllers. It limits the data and command structure arrSeqLinkData within the structure ST_BA_SeqLink. The value must not be less than 1. |
nCollect_RefCount | DINT | Sets the maximum number of references of FB_BA_Collector function blocks. |
eLoop_DefOpMode | E_BA_PIDMode | Default value for the Operation mode parameter. |
nTrend_BufferSize | UDINT | Number of entries in a trend buffer. |
stTrend_DefStartTime | Default value for the Start time parameter. | |
stTrend_DefStopTime | Default value for the Stop time parameter. | |
bTrend_DefStopOnFull | BOOL | FALSE, Ring buffer; TRUE, Fixed memory that does not store anything when the buffer is full. |
nTrend_DefLogInterval | UDINT | Default value for the Logging interval parameter. |
nTrend_DefNotificationThreshold | UDINT | Default value for the Notification threshold parameter. |
nCal_EntryCount | DINT | Number of entries in a calendar object. |
nSched_EntryCount | DINT | Number of entries on a weekday ('T_BA_SchedWeek') or an exception ('ST_BA_SchedCalendar' / 'ST_BA_SchedException'). |
nSched_CalendarCount | DINT | Number of calendar references ('T_BA_SchedCalendar'). |
nSched_ExceptionCount | DINT | Number of exceptions ('T_BA_SchedExceptionList'). |
nSim_AISen_DefDampConstant | UDINT | Default value for the parameter Damping constant. |
tSub_ReadTolerance | TIME | Default value for the Read tolerance parameter. |
bSub_ClearOnReadError | BOOL | Default value for the Reset on read errors parameter. |
tSub_DefReadInterval | TIME | Default value for the Read interval parameter. |
nGroupCmd_RefCount | DINT | Number of references. |
nGroupDsp_RefCount | DINT | Number of references. |
nGroupVal_RefCount | DINT | Number of references. |